One Summer in Paris - Page 34

He hadn’t mentioned divorce since that awful night back in February, but Grace assumed he was going to raise it again at some point. Whatever happened, he’d always be Sophie’s father.

“Please, Sophie.”



“Fine.” Sophie grabbed her laptop and headed for the stairs. “I don’t want to see him anyway.”

Grace thought about all the times Sophie had listened for her father coming home. She’d race through the house, filling it with her joyful yells, Daddy, Daddy.

These molecular data were left in the piece by mistake:
********
Record 1
Below is a molecular structure, C43H31Cl2F13N2O9STa, with properties calculated with ωB97M-V/def2-TZVPD.

## Properties
orbital gap = 6.646 eV
net charge = -1
molar mass = 1250.6 g mol⁻¹

The geometry in XYZ format:
```
102
Properties=species:S:1:pos:R:3:forces:R:3
Ta 0.997102 -0.201213 -1.445938 -1.9 0.8 0.1
C -5.438772 -1.844787 -1.871044 0.1 0.0 0.0
C -4.012677 -1.983350 -1.410671 0.0 0.0 0.0
C -3.665828 -1.754100 -0.086755 0.0 -0.1 0.0
C -2.348806 -1.791336 0.327145 0.2 0.0 0.0
C -1.312348 -2.049230 -0.577486 -0.4 -0.2 -0.2
N 0.043314 -1.947973 -0.280059 0.6 0.7 -0.8
C 0.556290 -2.509767 0.867797 0.1 -0.2 0.1
C -0.214178 -3.403581 1.644653 0.1 0.1 -0.1
C 0.274429 -4.025777 2.772902 0.0 0.0 0.0
C 1.579606 -3.827396 3.201802 0.1 -0.1 0.1
C 2.145742 -4.523788 4.411953 0.0 0.1 -0.1
C 2.373176 -3.001835 2.424575 -0.2 0.0 0.0
C 1.898091 -2.343036 1.292962 0.0 0.1 0.0
C 2.932600 -1.605948 0.461249 0.5 -0.1 0.3
O 2.421511 -0.937405 -0.627827 2.1 -1.6 2.1
C 4.001792 -2.636883 -0.072514 0.1 -0.1 -0.3
F 5.045359 -2.759102 0.780633 -0.1 0.0 -0.1
F 3.491428 -3.864973 -0.221961 0.0 0.2 0.0
F 4.491479 -2.252486 -1.250425 0.0 -0.1 0.2
C 3.724118 -0.507367 1.252019 0.1 0.3 0.0
F 2.920316 0.506152 1.585704 0.1 -0.1 0.0
F 4.700487 -0.009262 0.471516 -0.1 0.0 0.1
F 4.301961 -0.917817 2.392918 0.0 0.0 -0.1
C -1.667146 -2.312759 -1.914861 0.1 0.1 0.1
C -2.996859 -2.269891 -2.313101 0.0 -0.1 0.1
C -0.488652 -2.456569 -2.871124 0.2 -0.3 0.1
O 0.281249 -1.303715 -2.847701 0.0 -0.9 -0.7
C -0.921253 -2.620433 -4.347031 0.0 0.2 -0.2
F 0.125329 -2.683095 -5.175314 -0.2 0.1 0.1
F -1.656311 -1.559910 -4.739856 0.1 -0.2 0.0
F -1.672853 -3.725167 -4.540853 0.0 0.2 0.0
C 0.411094 -3.730428 -2.519176 0.2 -0.2 0.0
F 0.586187 -4.539705 -3.583613 -0.1 -0.1 -0.1
F -0.134599 -4.515527 -1.576849 -0.1 0.2 0.0
F 1.642210 -3.399043 -2.130276 -0.2 0.2 0.0
H -6.135260 -2.222464 -1.120967 0.0 0.0 0.0
H -5.606212 -2.382099 -2.804493 0.0 0.0 0.0
H -5.668885 -0.790160 -2.044468 0.0 0.0 0.0
H -4.442269 -1.517208 0.634487 0.0 0.0 0.0
H -2.097978 -1.579006 1.358212 0.0 0.0 0.0
H -1.213666 -3.640333 1.313088 0.0 0.0 0.0
H -0.377854 -4.694882 3.324870 0.0 0.0 0.0
H 1.463302 -5.294367 4.771162 0.0 0.0 0.0
H 2.330527 -3.823247 5.230028 0.0 0.0 0.0
H 3.097868 -4.999111 4.168129 0.0 0.0 0.0
H 3.411361 -2.886457 2.706431 0.0 0.0 0.0
H -3.273905 -2.469689 -3.337723 0.0 0.1 0.0
C -5.214511 1.727372 3.423822 0.1 0.1 -0.1
C -4.199581 2.810905 3.057269 -0.2 -0.1 0.1
C -3.855198 3.739213 4.215450 0.1 -0.1 0.0
C -3.176831 2.958233 5.335160 0.0 0.0 -0.1
C -2.009623 2.172741 4.792336 -0.1 0.0 0.1
C -0.974935 1.789674 5.619788 0.0 0.0 -0.1
C 0.113360 1.095829 5.105121 0.0 0.0 0.0
F 1.097574 0.741587 5.956873 0.0 0.0 0.0
C 0.212939 0.787294 3.777121 0.1 0.0 0.0
C -0.824793 1.166233 2.921237 0.0 0.0 0.1
C -0.699543 0.851616 1.489208 -0.1 -0.1 0.0
O 0.315221 0.285961 1.074556 0.2 0.2 -0.2
C -1.823263 1.230296 0.687435 0.2 0.1 -0.3
C -2.875088 1.874939 1.250581 0.1 -0.1 0.0
********
Back to the piece:

She opened the door, hating the fact that she felt nervous. It seemed unjust that she should be the one feeling that way.

It had been weeks since she’d seen him, and her first thought was that he didn’t look like himself.

David was always clean-shaven, but today his jaw was darkened by stubble. On another man it might have looked as if he hadn’t bothered to shave, but on him it looked annoyingly good. The touches of gray in his hair looked good on him, too. He was broad shouldered and solid. The kind of man people leaned on in a crisis. She’d leaned on him. She wanted to lean on him now, but as he was the cause of this current crisis that impulse made no sense.

If he was suffering, it didn’t show. She, on the other hand, was fairly sure that her suffering was as visible as a drop of blood on fresh snow.

If he looked closely he’d probably see the nights she hadn’t slept, the tears she’d shed, the food she hadn’t eaten.

She made a note to always wear makeup from now on, even in bed. That way she couldn’t be caught out.

“Grace.” His voice was gentle. He might have been speaking to the victim of a traffic accident. I’m terribly sorry to be the bearer of bad news. “Can we talk?”

“You should have called.”

“I did. You didn’t answer. Please, Grace.” In that split second, she saw the old David. The David who had supported her through unspeakably tough times, the David who understood her.

She opened the door wider. “Five minutes.”

He stepped through the door and had the good manners to pause, waiting for her to direct him even though he’d lived here with her for twenty-five years. They’d bought the house together and when they’d picked up the keys he’d carried her over the threshold. They’d had sex in every room in the house, including the bathtub.

“Kitchen,” she said, and saw him glance into the living room as they passed the door.

“You moved the sofa.”

“The light was fading the fabric.” She didn’t tell him that she’d moved things around in the hope that she wouldn’t feel his absence every time she walked into a room.

He waited until she sat down before he sat, too.

“Where’s Sophie?”

“Upstairs, working.”

“How is she doing?”

“How do you think she is doing?”

“I don’t know. She won’t talk to me.”

For the first time she noticed he looked tired, too.

Too much sex, she thought bitterly.

“It’s been a shock for her. You have to give her time.”

David stared at his hands. “Hurting you both was the last thing I wanted to do.”

Tags: Sarah Morgan Romance
Source: Copyright 2016 - 2024